____________
1.
This record from the Alexandria database describes a relaxed structure of KAlReHg2. The functional is GGA-PBE.

Lattice parameters (Å, degrees): 5.859 5.859 6.211 90.00 90.00 90.00
Space group P4/mmm (No. 123)
One atom of each set of equivalent atoms:
1 K 0.000 0.000 0.000 [1 per cell]
2 Al 0.000 0.000 0.500 [1 per cell]
3 Re 0.500 0.500 0.500 [1 per cell]
4 Hg 0.000 0.500 0.000 [2 per cell]

Computed properties:
- spin magnetization (μB per cell) = 3.4
- energy of formation from the pure elements (eV/atom) = 1.964

=====

2.
This record from the Alexandria database describes a relaxed structure of Ca2Pr2SmY6. The functional is GGA-PBE.

Lattice parameters (Å, degrees): 6.220 10.873 12.244 90.00 101.08 90.00
Space group C2/m (No. 12)
One atom of each set of equivalent atoms:
1 Ca 0.000 0.164 0.000 [4 per cell]
2 Pr 0.000 0.333 0.500 [4 per cell]
3 Sm 0.000 0.000 0.500 [2 per cell]
4 Y 0.243 0.000 0.261 [4 per cell]
5 Y 0.244 0.334 0.257 [8 per cell]

Computed properties:
- spin magnetization (μB per cell) = 0.0
- energy of formation from the pure elements (eV/atom) = 0.172

=====

3.
This record from the Alexandria database describes a relaxed structure of B5C7. The functional is GGA-PBE.

Lattice parameters (Å, degrees): 8.530 2.518 8.310 90.00 119.98 90.00
Space group Cm (No. 8)
One atom of each set of equivalent atoms:
1 B 0.000 0.000 0.000 [2 per cell]
2 B 0.015 0.500 0.157 [2 per cell]
3 B 0.218 0.500 0.849 [2 per cell]
4 B 0.350 0.500 0.307 [2 per cell]
5 B 0.388 0.500 0.768 [2 per cell]
6 C 0.041 0.000 0.507 [2 per cell]
7 C 0.049 0.500 0.619 [2 per cell]
8 C 0.186 0.000 0.968 [2 per cell]
9 C 0.188 0.500 0.355 [2 per cell]
10 C 0.201 0.000 0.465 [2 per cell]
11 C 0.329 0.000 0.163 [2 per cell]
12 C 0.384 0.000 0.650 [2 per cell]

Computed properties:
- spin magnetization (μB per cell) = 0.0
- energy of formation from the pure elements (eV/atom) = 0.386
- E above lowest polymorph (meV/atom) = 128

=====

4.
This record from the Alexandria database describes a relaxed structure of CaIrPbO6. The functional is GGA-PBE.

Lattice parameters (Å, degrees): 5.6472 5.6472 9.0715 90.00 90.00 120.00
Space group P-31c (No. 163)
One atom of each set of equivalent atoms:
1 Ca 0.3333 0.6667 0.2500 [2 per cell]
2 Ir 0.3333 0.6667 0.7500 [2 per cell]
3 Pb 0.0000 0.0000 0.0000 [2 per cell]
4 O 0.0496 0.3890 0.6295 [12 per cell]

Computed properties:
- spin magnetization (μB per cell) = 0.0
- E_form (uncorrected) (meV per atom) = -1176

=====

5.
This record from the Alexandria database describes a relaxed structure of Sm5Th3S8. The functional is GGA-PBE.

Lattice parameters (Å, degrees): 8.0004 8.0004 19.8871 90.00 90.00 120.00
Space group R-3m (No. 166, hexagonal axes)
One atom of each set of equivalent atoms:
1 Sm 0.0000 0.0000 0.0000 [3 per cell]
2 Sm 0.0000 0.0000 0.5000 [3 per cell]
3 Sm 0.0000 0.5000 0.0000 [9 per cell]
4 Th 0.0000 0.5000 0.5000 [9 per cell]
5 S 0.0000 0.0000 0.2518 [6 per cell]
6 S 0.0018 0.5009 0.2510 [18 per cell]

Computed properties:
- spin magnetization (μB per cell) = 0.0
- E_form (uncorrected) (meV per atom) = -1950

=====

6.
This record from the Alexandria database describes a relaxed structure of PmSb3Se6. The functional is GGA-PBE.

Lattice parameters (Å, degrees): 12.181 4.057 12.383 90.00 105.86 90.00
Space group P2_1/m (No. 11)
One atom of each set of equivalent atoms:
1 Pm 0.189 0.250 0.034 [2 per cell]
2 Sb 0.037 0.750 0.293 [2 per cell]
3 Sb 0.339 0.250 0.432 [2 per cell]
4 Sb 0.399 0.750 0.849 [2 per cell]
5 Se 0.031 0.750 0.893 [2 per cell]
6 Se 0.122 0.250 0.453 [2 per cell]
7 Se 0.228 0.750 0.228 [2 per cell]
8 Se 0.245 0.250 0.800 [2 per cell]
9 Se 0.386 0.750 0.060 [2 per cell]
10 Se 0.401 0.750 0.583 [2 per cell]

Computed properties:
- spin magnetization (μB per cell) = 0.0
- E_form (uncorrected) (meV per atom) = -676

=====

7.
This record from the Alexandria database describes a relaxed structure of PmTcP2Ru. The functional is GGA-PBE.
____________

What is needed: type out only the lines earlier on with the word "Al" in them.

2 Al 0.000 0.000 0.500 [1 per cell]